Tag Archives: Anniversary of the March on Washington

Next to the piece, the page also holds calculated crystals:
********
Record 1
AsPtPbO: computed powder diffractogram (Cu Kα), based on a DFT-relaxed cell (PBE, OQMD).
Intensities are scaled so that the largest is 100.

Top 12 peaks for 10° ≤ 2θ ≤ 90°, most intense first:
2θ/deg	d_spacing	Rel. int.
30.17	2.962	100
39.95	2.257	78
32.37	2.766	77
26.36	3.381	38
29.47	3.031	31
62.84	1.479	26
51.27	1.782	22
50.46	1.809	19
53.71	1.707	17
48.96	1.860	15
37.44	2.402	15
65.31	1.429	15

Structure:
```
data_AsPtPbO
_chemical_formula_sum 'As2 Pt2 Pb2 O2'
_cell_length_a 3.4133
_cell_length_b 6.5910
_cell_length_c 6.7613
_cell_angle_alpha 90.00
_cell_angle_beta 90.00
_cell_angle_gamma 90.00
_symmetry_space_group_name_H-M 'P 1'
_symmetry_Int_Tables_number 1
loop_
_symmetry_equiv_pos_as_xyz
'x,y,z'
loop_
_atom_site_label
_atom_site_type_symbol
_atom_site_fract_x
_atom_site_fract_y
_atom_site_fract_z
As1 As 0.0000 0.0707 0.0000
As2 As 0.0000 0.9293 0.5000
Pt1 Pt 0.5000 0.1486 0.2475
Pt2 Pt 0.5000 0.8514 0.7475
Pb1 Pb 0.0000 0.4116 0.6852
Pb2 Pb 0.0000 0.5884 0.1852
O1 O 0.5000 0.4084 0.4389
O2 O 0.5000 0.5916 0.9389
```

Record 2
Li2MgScIn2Cu2: computed powder diffractogram (Cu Kα), based on a DFT-relaxed cell (PBE, OQMD).
Intensities are scaled so that the largest is 100.

Top 12 peaks for 10° ≤ 2θ ≤ 90°, most intense first:
2θ/deg	d_spacing	Rel. int.
39.66	2.272	100
23.95	3.715	79
39.52	2.280	51
71.78	1.315	32
46.74	1.943	26
57.12	1.612	16
27.66	3.225	16
72.07	1.311	16
46.99	1.934	13
63.03	1.475	10
85.45	1.136	10
57.55	1.601	8

Structure:
```
data_Li2MgScIn2Cu2
_chemical_formula_sum 'Li2 Mg1 Sc1 In2 Cu2'
_cell_length_a 4.5606
_cell_length_b 4.5606
_cell_length_c 6.4055
_cell_angle_alpha 90.00
_cell_angle_beta 90.00
_cell_angle_gamma 90.00
_symmetry_space_group_name_H-M 'P 1'
_symmetry_Int_Tables_number 1
loop_
_symmetry_equiv_pos_as_xyz
'x,y,z'
loop_
_atom_site_label
_atom_site_type_symbol
_atom_site_fract_x
_atom_site_fract_y
_atom_site_fract_z
Li1 Li 0.0000 0.5000 0.2418
Li2 Li 0.5000 0.0000 0.7582
Mg1 Mg 0.5000 0.5000 0.0000
Sc1 Sc 0.0000 0.0000 0.5000
In1 In 0.0000 0.0000 0.0000
In2 In 0.5000 0.5000 0.5000
Cu1 Cu 0.0000 0.5000 0.7473
Cu2 Cu 0.5000 0.0000 0.2527
```

Record 3
BaHg6: computed powder diffractogram (Cu Kα), based on a DFT-relaxed cell (PBE, OQMD).
Intensities are scaled so that the largest is 100.

Top 12 peaks for 10° ≤ 2θ ≤ 90°, most intense first:
2θ/deg	d_spacing	Rel. int.
31.09	2.877	100
34.09	2.630	93
31.37	2.852	70
40.46	2.230	59
31.27	2.861	37
36.52	2.461	29
65.35	1.428	27
41.13	2.195	26
58.95	1.567	25
33.34	2.687	25
38.27	2.352	21
72.49	1.304	18

Structure:
```
data_BaHg6
_chemical_formula_sum 'Ba4 Hg24'
_cell_length_a 13.5747
_cell_length_b 5.2601
_cell_length_c 10.5663
_cell_angle_alpha 90.00
_cell_angle_beta 90.00
_cell_angle_gamma 90.00
_symmetry_space_group_name_H-M 'P 1'
_symmetry_Int_Tables_number 1
loop_
_symmetry_equiv_pos_as_xyz
'x,y,z'
loop_
_atom_site_label
_atom_site_type_symbol
_atom_site_fract_x
_atom_site_fract_y
_atom_site_fract_z
Ba1 Ba 0.1816 0.2500 0.1274
Ba2 Ba 0.3184 0.7500 0.6274
********
Here the piece continues:

The Progressive President and the American Middle Class…


I have been accused of being hard on this President when it comes to privacy, chained CPI, Larry Summers and intervention in Syria. However I have been a tireless supporter of this President. I have never given up hope on his agenda. That does not mean that as an Independent Progressives I will not speak up when his agenda may hurt the freedom and liberty of Americans. I believe in this man and I know his accomplishments. This “BLACK” President has done more for the American Middle Class in four and a half years than the Republican Party has done in 30:

1. Passed the Affordable Care Act (ObamaCare’s)
2. Passed the Lilly Ledbetter Fair Pay Act
3. Earned Income Tax Credit. Under current law, working families with two or more children currently qualify for an Earned Income Tax Credit equal to 40 percent of the family’s first $12,570 in earned income. The stimulus set the rate at 45 percent for families with three or more children and made other adjustments. The fiscal cliff bill extends these provisions for five additional years, through 2017.
4. Child Tax Credit. The stimulus set a new threshold for refundability of the credit, and the fiscal cliff bill extends that for five years, though 2017
5. Marriage penalty. A “marriage penalty” describes what happens when a couple pays more income tax if they file jointly as a couple than they would if they had remained single and filed as individuals. The fiscal cliff bill permanently extended marriage penalty relief for the standard deduction, the 15 percent bracket, and the Earned Income Tax Credit.
6. Dependent Care Credit. The dependent care credit benefits taxpayers who have child care expenses for children under 13 and disabled dependents. Under Bush, the amount of eligible expenses was increased. The fiscal cliff bill makes those changes permanent.
7. Adoption tax credits. Taxpayers who adopt children can receive a tax credit for adoption expenses and can exclude adoption expenses paid by an employer from the calculation of their income. Under Bush, the terms of this credit became more generous, and under Obama’s health care law, these benefits were extended and the credit was made refundable. The fiscal cliff bill extends these provisions permanently.
8. Increase minority access to capital
9. Implement “Women Owned Business” contracting program
10. Create a consumer-friendly credit card rating system
11. Establish a credit card bill of rights
12. Expand loan programs for small businesses
13. Close the “doughnut hole” in Medicare prescription drug plan
14. Require insurance companies to cover pre-existing conditions
15. Provided tax credits to Americans who need help to pay health premiums
16. Require large employers to contribute to a national health plan
17. Require health plans to disclose how much of the premium goes to patient care
18. Reinstate executive order to hire an additional 100,000 federal employees with disabilities within five years
19. Increase the Veterans Administration budget to recruit and retain more mental health professionals
20. Expand Veterans Centers in rural areas
21. Fully fund the Veterans Administration
22. Expand housing vouchers program for homeless veterans
23. Fully fund the Violence Against Women Act
24. Increase funding for national parks and forests
25. Expand Pell grants for low-income students
26. President Obama signs hate crimes bill, Wednesday, October 28th, 2009 President Barack Obama has signed a bill to expand the federal hate crimes law. The Matthew Shepard and James Byrd Jr. Hate Crimes Prevention Act, named after two men who were killed more than 10 years ago because of their sexual orientation, was included in a defense bill that Obama signed on Oct. 28, 2009.
27. Repeal “Don’t Ask, Don’t Tell” policy
28. Strengthen the levees in New Orleans
29. Toughen enforcement for Internet exploitation of children
30. Send first-time nonviolent drug offenders to rehab if appropriate
31. Create new criminal penalties for mortgage fraud
32. Reduce dependence on foreign oil
33. Reverse restrictions on stem cell research
34. He is bringing home “OUR” Sons and Daughters from Iraq and Afghanistan
35. He brought Osama Bin Ladin to justice for his attacks on 911

(Misplaced materials data)
+++
For Te4Mo3WSe2S2, DFT lattice parameters and positions (GGA-PBE) gives the simulated PXRD pattern in this record (Cu Kα (weighted mean of Kα1 and Kα2)).
Peak positions follow from Bragg's law for the DFT cell and can differ from measured ones.

Structure:
a = 3.3998 Å, b = 3.3998 Å, c = 38.6655 Å
α = 90.00°, β = 90.00°, γ = 120.00°
Space group P3m1 (No. 156)
Inequivalent atoms, fractional coordinates:
Te (0.0000, 0.0000, 0.0000) (multiplicity 1)
Te (0.0000, 0.0000, 0.0974) (multiplicity 1)
Te (0.3333, 0.6667, 0.4367) (multiplicity 1)
Te (0.3333, 0.6667, 0.5335) (multiplicity 1)
Mo (0.0000, 0.0000, 0.4851) (multiplicity 1)
Mo (0.0000, 0.0000, 0.8608) (multiplicity 1)
Mo (0.3333, 0.6667, 0.6729) (multiplicity 1)
W (0.3333, 0.6667, 0.0487) (multiplicity 1)
Se (0.3333, 0.6667, 0.8182) (multiplicity 1)
Se (0.3333, 0.6667, 0.9034) (multiplicity 1)
S (0.0000, 0.0000, 0.6341) (multiplicity 1)
S (0.0000, 0.0000, 0.7118) (multiplicity 1)

Largest 6 diffraction maxima, low angle first, 2θ = 5–70°:
two_theta, Rel. int.
6.86, 68.4
11.44, 94.7
30.37, 50.7
35.71, 100.0
43.24, 54.4
53.94, 32.7

***

For LuAlFe, DFT lattice parameters and positions (GGA-PBE) gives the simulated PXRD pattern in this record (Cu Kα (weighted mean of Kα1 and Kα2)).
Peak positions follow from Bragg's law for the DFT cell and can differ from measured ones.

Structure:
a = 8.4607 Å, b = 5.3004 Å, c = 9.2132 Å
α = 90.00°, β = 90.00°, γ = 90.00°
Space group Amm2 (No. 38)
Inequivalent atoms, fractional coordinates:
Lu (0.1843, 0.0000, 0.0000) (multiplicity 4)
Lu (0.3001, 0.0000, 0.6701) (multiplicity 4)
Al (0.0000, 0.0000, 0.4983) (multiplicity 2)
Al (0.5000, 0.0000, 0.1682) (multiplicity 2)
Al (0.5000, 0.2452, 0.4149) (multiplicity 4)
Fe (0.0000, 0.2490, 0.2537) (multiplicity 4)
Fe (0.2390, 0.0000, 0.3264) (multiplicity 4)

Largest 6 diffraction maxima, low angle first, 2θ = 5–70°:
two_theta, Rel. int.
21.00, 27.9
33.76, 86.7
37.41, 84.8
40.10, 100.0
62.76, 26.3
68.90, 23.1

***

For BaCu3O4, DFT lattice parameters and positions (GGA-PBE) gives the simulated PXRD pattern in this record (Cu Kα (weighted mean of Kα1 and Kα2)).
Peak positions follow from Bragg's law for the DFT cell and can differ from measured ones.

Structure:
a = 5.9120 Å, b = 12.2954 Å, c = 5.0395 Å
α = 90.00°, β = 90.00°, γ = 90.00°
Space group Cmmm (No. 65)
Inequivalent atoms, fractional coordinates:
Ba (0.0000, 0.0000, 0.0000) (multiplicity 2)
Cu (0.0000, 0.2455, 0.0000) (multiplicity 4)
Cu (0.0000, 0.5000, 0.0000) (multiplicity 2)
O (0.2239, 0.3531, 0.0000) (multiplicity 8)

Largest 6 diffraction maxima, low angle first, 2θ = 5–70°:
two_theta, Rel. int.
17.60, 100.0
34.17, 17.8
35.20, 15.8
35.63, 16.5
42.42, 18.4
46.26, 28.1

***

For Ba3NdIrRuO9, DFT lattice parameters and positions (GGA-PBE) gives the simulated PXRD pattern in this record (Cu Kα (weighted mean of Kα1 and Kα2)).
Peak positions follow from Bragg's law for the DFT cell and can differ from measured ones.

Structure:
+++


Today is the anniversary of the “March on Washington”. As Americans we have been told throughout history that minorities were inferior, that they could not accomplish what White Americans could accomplish. It took over 230 years for a Black man to become the President. To prove that this Black man was not up to the task White Conservatives would not lift a finger to help this man make things better for the American Middle Class. They threw every obstacle at this President, they said “NO” to all of his ideas. They were intransigent and destructive to democracy. They mocked this man, they ridiculed him. They behaved less than Statesmanlike. But this Black President stood proud and he faced this Nation with incredible grace and dignity that no Republicans has exhibited since his election in 2008.

Crystal structures that have nothing to do with the article:
- - -
# 1
The following is a theoretical powder XRD pattern of BaTbO3. It was derived from a GGA-PBE-relaxed structure, using Cu Kα X-rays.

Most intense lines, 2θ = 15–90°, by angle:
| 2θ (°) | intensity |
| --- | --- |
| 27.40 | 52.9 |
| 28.36 | 100.0 |
| 28.51 | 48.8 |
| 28.67 | 48.2 |
| 28.93 | 51.7 |
| 39.80 | 30.8 |
| 40.35 | 26.1 |
| 50.79 | 32.9 |

Structural model:
```
BaTbO3
1.0
6.178 0.000 0.000
3.023 5.445 0.000
2.843 1.947 5.242
Ba Tb O
2 2 6
Direct
0.000 0.000 0.000
0.477 0.521 0.485
0.238 0.261 0.243
0.739 0.761 0.743
0.003 0.562 0.443
0.064 0.572 0.918
0.412 0.952 0.568
0.475 0.961 0.041
0.576 0.422 0.037
0.901 0.100 0.450
```

***

# 2
The following is a theoretical powder XRD pattern of Li2CuSiO4. It was derived from a GGA-PBE-relaxed structure, using Cu Kα X-rays.

Most intense lines, 2θ = 15–90°, by angle:
| 2θ (°) | intensity |
| --- | --- |
| 16.85 | 52.8 |
| 24.18 | 100.0 |
| 28.35 | 46.7 |
| 33.16 | 49.9 |
| 34.06 | 63.7 |
| 34.83 | 45.5 |
| 60.42 | 27.9 |
| 61.94 | 24.2 |

Structural model:
```
Li2CuSiO4
1.0
10.524 0.000 0.000
0.000 6.295 0.000
0.000 0.000 5.152
Li Cu Si O
8 4 4 16
Direct
0.169 0.011 0.202
0.169 0.489 0.202
0.331 0.511 0.702
0.331 0.989 0.702
0.669 0.011 0.298
0.669 0.489 0.298
0.831 0.511 0.798
0.831 0.989 0.798
0.087 0.750 0.811
0.413 0.250 0.311
0.587 0.750 0.689
0.913 0.250 0.189
0.077 0.250 0.693
0.423 0.750 0.193
0.577 0.250 0.807
0.923 0.750 0.307
0.072 0.750 0.210
0.082 0.250 0.374
0.152 0.038 0.807
0.152 0.462 0.807
0.348 0.538 0.307
0.348 0.962 0.307
0.418 0.750 0.874
0.428 0.250 0.710
0.572 0.750 0.290
0.582 0.250 0.126
0.652 0.038 0.693
0.652 0.462 0.693
0.848 0.538 0.193
0.848 0.962 0.193
0.918 0.750 0.626
0.928 0.250 0.790
```

***

# 3
The following is a theoretical powder XRD pattern of SmInPt. It was derived from a GGA-PBE-relaxed structure, using Cu Kα X-rays.

Most intense lines, 2θ = 15–90°, by angle:
| 2θ (°) | intensity |
| --- | --- |
| 20.59 | 17.5 |
| 23.25 | 26.6 |
| 31.25 | 100.0 |
| 31.69 | 26.1 |
| 36.07 | 65.0 |
| 43.35 | 46.7 |
| 48.45 | 19.5 |
| 61.09 | 28.4 |

Structural model:
```
SmInPt
1.0
8.627 0.000 0.000
-4.313 7.471 0.000
0.000 0.000 3.825
Sm In Pt
3 3 3
Direct
0.000 0.626 0.000
0.374 0.374 0.000
0.626 0.000 0.000
0.000 0.251 0.500
0.251 0.000 0.500
0.749 0.749 0.500
0.000 0.000 0.000
0.333 0.667 0.000
0.667 0.333 0.000
```

***

# 4
The following is a theoretical powder XRD pattern of DySbPd. It was derived from a GGA-PBE-relaxed structure, using Cu Kα X-rays.

Most intense lines, 2θ = 15–90°, by angle:
| 2θ (°) | intensity |
| --- | --- |
| 25.35 | 14.7 |
| 32.96 | 100.0 |
| 39.13 | 78.3 |
| 43.00 | 22.5 |
| 52.06 | 27.4 |
| 64.47 | 10.0 |
| 67.02 | 25.5 |
| 70.91 | 13.4 |

Structural model:
```
DySbPd
1.0
4.604 0.000 0.000
-2.302 3.987 0.000
0.000 0.000 7.428
Dy Sb Pd
2 2 2
Direct
0.000 0.000 0.000
0.000 0.000 0.500
0.333 0.667 0.273
0.667 0.333 0.773
0.333 0.667 0.665
0.667 0.333 0.165
```

***

# 5
- - -

I have never been more proud of “MY” President and never more proud of the Progressives of all Races, Ethnicities, Religions, Sexual Orientation and social classes. On this day I salute the first African American President, Barack Obama. So many Americans have sacrificed throughout our history to make this possible and he has not disappointed that effort. I dare say that no White Males, Progressives or Conservative could have maintained such dignity in the face of the behavior and disrespect showed to him by the right wing of this Country.
But today I have a dream that this will not be the last African American President, that a Woman will be given her chance to lead, that “ALL” Americans will be given the chance to fulfill the “American Ideal”….ALL MEN ARE CREATED EQUAL…
